Council issues stubborn response to Hackney Today legal threat

Notice: DCLG has ordered Hackney Today to be cut back before February 2018.
Town Hall chief executive Tim Shields has penned a bullish response to the government’s threat of legal action over its taxpayer-funded freesheet Hackney Today.
Earlier this month, Communities Secretary Sajid Javid issued a notice that means Hackney Council could end up in court if it fails to cut back its freesheet from a fortnightly to a quarterly.
== Misplaced calculated crystals ==
/*
(1)
# AcPm6Tm8

A geometry-optimized AcPm6Tm8 structure (PBE, Alexandria via LeMat-Bulk).

Computed properties:
- E_form (kJ per mole of atoms) = 44

Unit cell a=9.7783 b=9.7783 c=9.7783 alpha=52.21 beta=52.21 gamma=52.21
Fractional positions:
Ac: 0.0000 0.0000 0.0000
Pm: 0.1554 0.6606 0.3503
Pm: 0.3394 0.6497 0.8445
Pm: 0.3503 0.1554 0.6606
Pm: 0.6497 0.8446 0.3394
Pm: 0.6606 0.3503 0.1555
Pm: 0.8445 0.3394 0.6497
Tm: 0.0510 0.5744 0.7874
Tm: 0.2126 0.9490 0.4256
Tm: 0.2909 0.2909 0.2909
Tm: 0.4256 0.2126 0.9490
Tm: 0.5744 0.7874 0.0510
Tm: 0.7091 0.7091 0.7091
Tm: 0.7874 0.0510 0.5744
Tm: 0.9490 0.4256 0.2126

---

(2)
# Ac2Pm4Tm

A geometry-optimized Ac2Pm4Tm structure (PBE, Alexandria via LeMat-Bulk).

Computed properties:
- E_form (kJ per mole of atoms) = 29

Unit cell a=8.8220 b=8.8220 c=8.8220 alpha=109.58 beta=109.58 gamma=109.26
Fractional positions:
Ac: 0.3750 0.0142 0.1392
Ac: 0.7642 0.6250 0.6392
Ac: 0.8750 0.2358 0.8608
Ac: 0.9858 0.1250 0.3608
Pm: 0.1408 0.0374 0.7432
Pm: 0.1476 0.5442 0.7568
Pm: 0.2942 0.3976 0.2568
Pm: 0.4558 0.2126 0.6034
Pm: 0.6024 0.8592 0.8966
Pm: 0.6092 0.8524 0.3966
Pm: 0.7874 0.3908 0.2432
Pm: 0.9626 0.7058 0.1034
Tm: 0.2500 0.7500 0.5000
Tm: 0.5000 0.5000 0.0000

---

(3)
# AcPmTm

A geometry-optimized AcPmTm structure (PBE, Alexandria via LeMat-Bulk).
*/
== The entry goes on ==
The Department for Communities and Local Government (DCLG) gave the council 14 days to accept the ruling and until 6 February 2018 to comply.
But in a letter to DCLG last week, Town Hall chief executive Tim Shields accused Javid of failing to “give the authority an opportunity to comment upon the reasons and/or evidence” for the directions, adding: “This should hardly be controversial.”
He went to write: “Not only will the council need proper time to make its representations, it will require further information from the Secretary of State about the decision-making process to date, and about the evidence upon which [he] purports to rely.”
Shields also questioned the DCLG’s recent “urgency” after Javid “sat on the matter for nearly a year”.
He added: “In circumstances in which the Secretary of State has procrastinated, without explanation, over a 3½ year period, it is simply unacceptable (and unlawful) to behave as though the matter was one of great urgency.”
Government rules stipulate that freesheets like Hackney Today should not be published more often than quarterly.
Neighbouring Tower Hamlets Council complied with this order in June last year, replacing its fortnightly East End Life with the quarterly Our East End.
What comes next are crystal structures, not part of the page =
┌──
No. 1
First-principles (GGA-PBE) data for a relaxed structure of CoCuAs2, as listed in Alexandria via LeMat-Bulk.

abc: 2.842 2.916 7.297
angles: 90.00 90.00 90.00
Positions (direct):
Co (0.000, 0.000, 0.000)
Cu (0.000, 0.500, 0.500)
As (0.500, 0.500, 0.207)
As (0.500, 0.500, 0.793)

Computed properties:
- Formation energy from the elements: 0.10 eV/atom
- Energy relative to the lowest polymorph listed for this composition: 89 meV/atom
- Space-group type: No. 47
- M_tot: 0.000 μB per atom

No. 2
First-principles (GGA-PBE) data for a relaxed structure of CoCu2As, as listed in Alexandria via LeMat-Bulk.

abc: 3.488 3.488 8.179
angles: 90.00 90.00 90.00
Positions (direct):
Co (0.000, 0.000, 0.000)
Co (0.500, 0.500, 0.500)
Cu (0.000, 0.500, 0.250)
Cu (0.000, 0.500, 0.750)
Cu (0.500, 0.000, 0.250)
Cu (0.500, 0.000, 0.750)
As (0.000, 0.000, 0.500)
As (0.500, 0.500, 0.000)

Computed properties:
- Formation energy from the elements: 0.10 eV/atom
- Space-group type: No. 139
- M_tot: 0.000 μB per atom

No. 3
First-principles (GGA-PBE) data for a relaxed structure of CoCu2As, as listed in Alexandria via LeMat-Bulk.

abc: 2.721 4.527 4.197
angles: 90.00 90.95 90.00
Positions (direct):
Co (0.000, 0.000, 0.000)
Cu (0.268, 0.500, 0.756)
Cu (0.732, 0.500, 0.244)
As (0.500, 0.000, 0.500)

Computed properties:
- Formation energy from the elements: 0.18 eV/atom
- Space-group type: No. 10
- M_tot: 0.273 μB per atom

No. 4
First-principles (GGA-PBE) data for a relaxed structure of CoCu2As, as listed in Alexandria via LeMat-Bulk.

abc: 4.908 9.114 2.784
angles: 90.00 123.88 90.00
Positions (direct):
Co (0.000, 0.000, 0.000)
Co (0.500, 0.500, 0.000)
Cu (0.250, 0.250, 0.500)
Cu (0.250, 0.750, 0.500)
Cu (0.750, 0.250, 0.500)
Cu (0.750, 0.750, 0.500)
As (0.000, 0.500, 0.000)
As (0.500, 0.000, 0.000)

Computed properties:
- Formation energy from the elements: 0.17 eV/atom
- Space-group type: No. 12
- M_tot: 0.185 μB per atom

No. 5
First-principles (GGA-PBE) data for a relaxed structure of CoCuAs2, as listed in Alexandria via LeMat-Bulk.

abc: 3.991 3.053 5.054
angles: 90.00 108.27 90.00
Positions (direct):
Co (0.000, 0.000, 0.000)
Cu (0.500, 0.500, 0.500)
As (0.000, 0.000, 0.500)
As (0.500, 0.500, 0.000)

Computed properties:
- Formation energy from the elements: 0.15 eV/atom
- Energy relative to the lowest polymorph listed for this composition: 135 meV/atom
- Space-group type: No. 10
- M_tot: 0.169 μB per atom

No. 6
First-principles (GGA-PBE) data for a relaxed structure of Co3CuAs, as listed in Alexandria via LeMat-Bulk.

abc: 4.307 4.307 4.307
angles: 90.00 90.00 90.00
Positions (direct):
Co (0.000, 0.000, 0.500)
Co (0.000, 0.500, 0.000)
Co (0.500, 0.000, 0.000)
Cu (0.000, 0.000, 0.000)
As (0.500, 0.500, 0.500)

Computed properties:
- Formation energy from the elements: 1.19 eV/atom
- Energy relative to the lowest polymorph listed for this composition: 371 meV/atom
- Space-group type: No. 221
- M_tot: 1.073 μB per atom

Q: The highest M_tot belongs to which entry?
└──
But Hackney Council has so far refused to budge, arguing that Hackney Today “provides the best value for money solution for the council to regularly and effectively communicate with its diverse communities”.
DCLG, which told the Citizen it would be responding to Shields’ letter in due course, has previously stated: “The government expects all councils to comply with local government publicity rules, which are there to protect local taxpayers.
“This expectation includes the requirement that councils do not publish a newsletter more than quarterly.”
Last month, Mayor Philip Glanville defended the council freesheet at his Mayor’s Question Time, saying: “Hackney Today is a rare thing, and it’s a controversial thing for some, but actually having a council newspaper that goes to every door and promotes events like this isn’t available to most councils.”
A recent London Assembly report on ‘The Fate of Local News’ concluded: “Local newspapers have, in some cases, been negatively affected by local authorities regularly publishing their own newsletters. While these newsletters have their place, they should not be a substitute for local news.”
The Citizen has revealed how Hackney Today might not comply with the legal requirements of a newspaper carrying statutory notices.